Let’s Get This Show On The Road!

By Theutterblog @utterlywow

Ok chaps.  Festive fun is over.  Trees are coming down, decorations are being put away, turkeys across the land are no longer in hiding and I’m sure our waistlines are all a little…tight. (Erm, except for mine actually. Food poisoning + loss of appetite for three days = a trim and smug Sama, despite the day of hell that shall now be known as Vomday.)

2013 has been around the corner for a couple of months now, but it is finally HERE (Happy New Year by the way), and I’m sure I’m not alone in feeling like life can get back on track again. I’m not even going to put this bit in brackets, I’m actually looking forward to going back to work today.  Routine makes me productive; lying on my arse watching Christmas telly and eating too much cheese and chocolate does not.

So mainly for my own benefit but also as sharing is caring (and boy, do I care about you lovely lot), I thought I’d share my thoughts and aims (you may say resolutions, I don’t like to make promises) for the coming months. In bullet-point form, obviously.

# Inserted here: records of crystals
/*
Theoretical X-ray diffraction stick pattern of Dy2WO6 for Cu Kα (weighted mean of Kα1 and Kα2), from a cell relaxed with PBE+U.
Neutral-atom scattering factors, no anomalous dispersion.

Most intense lines, 2θ = 5–70°, low angle first:
2θ (°)  d/Å  I/Imax
28.1  3.180  1000
29.7  3.007  861
33.2  2.702  244
35.0  2.561  196
46.9  1.938  390
48.3  1.883  214

Atomic structure:
a = 15.9217 Å, b = 11.1190 Å, c = 5.4216 Å
α = 90.00°, β = 105.19°, γ = 90.00°
Space group C2/c (No. 15)
Unique sites:
Dy 0.0000 0.1079 0.2500 [4 per cell]
Dy 0.0000 0.3781 0.7500 [4 per cell]
Dy 0.1731 0.1114 0.8864 [8 per cell]
W 0.1580 0.3388 0.4150 [8 per cell]
O 0.0799 0.4557 0.4696 [8 per cell]
O 0.0857 0.2316 0.5755 [8 per cell]
O 0.0908 0.0141 0.0804 [8 per cell]
O 0.0955 0.2836 0.0901 [8 per cell]
O 0.2349 0.4564 0.3564 [8 per cell]
O 0.2486 0.2836 0.7226 [8 per cell]

~~~~~

# 1
Diffraction record for Sc3IrC4. The powder XRD pattern is simulated, not measured: it uses DFT lattice parameters and positions (GGA-PBE) and Cu Kα X-rays.
Neutral-atom scattering factors, no anomalous dispersion.

Principal peaks in the range 5° ≤ 2θ ≤ 70°, low angle first:
d (Å)  two_theta  intensity
6.122  14.5  68
4.172  21.3  52
3.339  26.7  24
3.061  29.2  18
2.644  33.9  24
2.496  36.0  100
2.219  40.7  18
2.144  42.1  21
2.039  44.4  50
1.796  50.8  14
1.735  52.8  12
1.700  53.9  19

Crystal structure
```
data_Sc3IrC4
_chemical_formula_sum 'Sc6 Ir2 C8'
_symmetry_space_group_name_H-M 'I m m m'
_symmetry_Int_Tables_number 71
_symmetry_space_group_name_Hall '-I 2 2'
_cell_length_a 3.4705
_cell_length_b 4.4373
_cell_length_c 12.2450
_cell_angle_alpha 90.00
_cell_angle_beta 90.00
_cell_angle_gamma 90.00
loop_
_atom_site_label
_atom_site_type_symbol
_atom_site_fract_x
_atom_site_fract_y
_atom_site_fract_z
Sc1 Sc 0.0000 0.0000 0.0000
Sc2 Sc 0.0000 0.5000 0.1905
Ir1 Ir 0.0000 0.0000 0.5000
C1 C 0.0000 0.3366 0.3725
```

# 2
Diffraction record for Co3W. The powder XRD pattern is simulated, not measured: it uses DFT lattice parameters and positions (GGA-PBE) and Cu Kα X-rays.
Neutral-atom scattering factors, no anomalous dispersion.

Principal peaks in the range 5° ≤ 2θ ≤ 70°, low angle first:
d (Å)  two_theta  intensity
3.602  24.7  34
2.547  35.2  28
2.080  43.5  100
1.801  50.7  47
1.611  57.2  15
1.471  63.2  11

Crystal structure
```
data_Co3W
_chemical_formula_sum 'Co3 W1'
_symmetry_space_group_name_H-M 'P m -3 m'
_symmetry_Int_Tables_number 221
_symmetry_space_group_name_Hall '-P 4 2 3'
_cell_length_a 3.6025
_cell_length_b 3.6025
_cell_length_c 3.6025
_cell_angle_alpha 90.00
_cell_angle_beta 90.00
_cell_angle_gamma 90.00
loop_
_atom_site_label
_atom_site_type_symbol
_atom_site_fract_x
_atom_site_fract_y
_atom_site_fract_z
Co1 Co 0.0000 0.0000 0.5000
W1 W 0.5000 0.5000 0.5000
```
*/

  • The Wedding Diet is ON, although I use the word ‘diet’ very loosely.  I hate diets and somehow usually manage to gain weight when I’m actively trying to lose it.  But I would like to lose just a couple of pounds for my wedding in May (which should theoretically be easily achieved by eating smaller portions and less sugar), and more importantly, tone up my wobbly bits which means HITTING THE GYM WITH A VENGEANCE. I’m using capital letters, I must be serious.
  • Speaking of the gym, I need to seriously sort out my attitude to gym sessions.  I enjoy going to the gym, but only after I’ve been.  Never before (I don’t want to go, please don’t make me go, maybe I won’t go…), and certainly not during (Want to stop, want to stop, oh dear god please let me stop), and I have the despicable habit of stopping as soon as I start to sweat (Ooh there we go- my forehead is moist, that means I must have worked hard. Aaaand, I’m done). Gym memberships don’t come cheap and since last May when I joined, I’ve struggled to go once a week, let alone the three times I should be going to actually make any difference.  But with a New Year comes a New Attitude (who’s laughing? Paul? Is that you??) and certainly until May I shall be making every effort to go three times a week, in a routine that looks a little something like this:
  1. Mon or Tuesday morning: early morning swim before work
  2. Weds or Thurs morning: hardcore gym sesh
  3. Friday (day off): either class or hardcore gym sesh followed by swim and spa.

Oh, it looks so easy when you write it down.

  • With only 4 months and three weeks to go until I become a Mrs, Operation Amazing Wedding must really swing in to action now.  And with a To-Do list longer than my arm, I’ve finally come to realise that it’s time to DELEGATE. It’s been my baby for the last year, and I’ve greeted every generous offer of help with “Ahh, that’s sweet, thank you” whilst actually thinking “not on your nelly, mate, this is my show”.  But like my stinky gym attitude, this is an even stinkier wedding planning attitude. With so much to do in a short space of time, delegation is key, and as of next week I shall be handing out carefully-chosen jobs to carefully-chosen people.  Friends and family, you have been warned.
  • Of course, there’s another reason I’m feeling pressured by time and that is my other baby, Utterly Wow. Not only do I have website copy and planning tools to complete in order to get the business up and running, but I already have three clients to be thinking about as well.  With a job at the bridal boutique taking up the majority of my time, I NEED to re-organise my working week and put some structure to how I work.  This is still to be figured out exactly but I shall be assigning days and time slots to the various areas of my working life, and more importantly, sticking to it. (Paul, are you laughing again?? Stop it!)
  • And finally, that leaves my third and smallest baby (I know, I look great for three kids, right?), this little ol’ blog.  I started The Utter Blog to document my wedding planning journey and connect with other brides-to-be and industry folk, and I love it deeply.  But assessing 2012, and in particular the last few months, I think I’ve sometimes put too much pressure on myself to keep writing, even when I felt there was nothing to write; devoting a whole precious morning to writing one blog post when actually I had 6 other really important things to do as well.  The Utter Blog isn’t going anywhere, but from now on I’m putting it out there and declaring that there shall only be one blog post a week. Yes, it had pretty much become that anyway, but I had been beating myself up for not managing more than one blog post and taking up way too much of my time thinking about it.  Well, the pressure is off now, and, dear readers, I hope you stick with my random utterings and look forward to your weekly Wednesday (or Thursday) fix.  And don’t worry I may still occasionally slip in the odd Friday Favourite or Sunday Utterings as well.

So I think that will do for this week! I feel rejuvenated, refreshed and re-invigorated for what should be an EPIC year of wedding-related wonder.  This time next year I’ll be looking back and saying WOW, 2013 was the year I launched a business and got married. But for now, I’m off to beautify some brides dressed head to toe in brand new got-this-for-Christmas clothes.

Life is good.

Sama xxx